********
Record 1
VASP calculation (PBE) on a relaxed NdOsPb2O6 crystal.

a = 5.9724 Å, b = 5.9724 Å, c = 5.9724 Å
α = 60.00°, β = 60.00°, γ = 60.00°
Site moments in Bohr magnetons follow the coordinates.
Element x y z (fractional)
Nd 0.5000 0.5000 0.5000  0.02
O 0.7705 0.2295 0.2295  0.06
O 0.7705 0.7705 0.2295  0.07
O 0.2295 0.7705 0.2295  0.07
O 0.2295 0.2295 0.7705  0.07
O 0.7705 0.2295 0.7705  0.07
Pb 0.7500 0.7500 0.7500  0.05
Os 0.0000 0.0000 0.0000  1.53
O 0.2295 0.7705 0.7705  0.06
Pb 0.2500 0.2500 0.2500  0.05

Computed properties:
- V (Å³/f.u.) = 151
- relative energy among the computed polymorphs (kJ/mol of atoms) = 6.6
- calculated total energy (eV/atom) = -6.842

=====

Record 2
VASP calculation (PBE) on a relaxed Ho3TaO7 crystal.

a = 6.4066 Å, b = 6.4066 Å, c = 7.4071 Å
α = 90.00°, β = 90.00°, γ = 70.89°
Element x y z (fractional)
Ho 0.0003 0.5357 0.0092
O 0.0566 0.6872 0.2951
O 0.9434 0.3128 0.7951
O 0.0831 0.6697 0.7255
Ho 0.5357 0.0003 0.9908
O 0.9169 0.3303 0.2255
O 0.6872 0.0566 0.7049
O 0.0705 0.0705 0.5000
O 0.3303 0.9169 0.7745
O 0.3128 0.9434 0.2049
O 0.3709 0.3709 0.0000
O 0.6697 0.0831 0.2745
Ho 0.4643 0.9997 0.4908
Ho 0.4700 0.5300 0.7500
Ta 0.0019 0.9981 0.2500
O 0.9295 0.9295 0.0000
O 0.3614 0.3614 0.5000
Ho 0.5300 0.4700 0.2500
Ta 0.9981 0.0019 0.7500
O 0.6386 0.6386 0.0000
O 0.6291 0.6291 0.5000
Ho 0.9997 0.4643 0.5092

Computed properties:
- V (Å³/f.u.) = 144
- calculated total energy (eV/atom) = -8.909

=====

Record 3
VASP calculation (PBE) on a relaxed NiI crystal.

a = 3.8508 Å, b = 3.8508 Å, c = 3.8508 Å
α = 60.00°, β = 60.00°, γ = 60.00°
Element x y z (fractional)
I 0.0000 0.0000 0.0000
Ni 0.5000 0.5000 0.5000

Computed properties:
- V (Å³/f.u.) = 40
- calculated total energy (eV/atom) = -3.281

=====

Record 4
VASP calculation (PBE) on a relaxed ZnMoAu2 crystal.

a = 4.5564 Å, b = 4.5564 Å, c = 4.5564 Å
α = 60.00°, β = 60.00°, γ = 60.00°
Site moments in Bohr magnetons follow the coordinates.
Element x y z (fractional)
Au 0.7500 0.7500 0.7500  0.00
Mo 0.2500 0.2500 0.2500  1.49
Zn 0.5000 0.5000 0.5000  0.02
Au 0.0000 0.0000 0.0000  0.07

Computed properties:
- V (Å³/f.u.) = 67
- ΔE_f (eV/atom) = 0.2920
- calculated total energy (eV/atom) = -4.369

=====

Record 5
VASP calculation (PBE) on a relaxed Ga2Tc2O5 crystal.

a = 7.9034 Å, b = 3.5691 Å, c = 3.5691 Å
α = 90.00°, β = 90.00°, γ = 90.00°
Site moments in Bohr magnetons follow the coordinates.
Element x y z (fractional)
Tc 0.5000 0.0000 0.0000  3.22
Tc 0.0000 0.0000 0.0000  0.11
O 0.5000 0.5000 0.5000  0.09
Ga 0.2512 0.5000 0.5000  -0.01
O 0.1557 0.5000 0.0000  0.03
O 0.1557 0.0000 0.5000  0.03
O 0.8443 0.5000 0.0000  0.03
Ga 0.7488 0.5000 0.5000  -0.01
O 0.8443 0.0000 0.5000  0.03

Computed properties:
- V (Å³/f.u.) = 101
- relative energy among the computed polymorphs (kJ/mol of atoms) = 6.4
- calculated total energy (eV/atom) = -6.493

=====

Record 6
VASP calculation (PBE) on a relaxed Ir2Pt2O5 crystal.

a = 8.2097 Å, b = 3.4238 Å, c = 3.4238 Å
α = 90.00°, β = 90.00°, γ = 90.00°
Site moments in Bohr magnetons follow the coordinates.
Element x y z (fractional)
Ir 0.5000 0.0000 0.0000  0.05
O 0.3277 0.0000 0.5000  0.02
Pt 0.8382 0.5000 0.5000  0.02
O 0.6723 0.0000 0.5000  0.02
O 0.5000 0.5000 0.5000  0.12
Ir 0.0000 0.0000 0.0000  0.04
O 0.6723 0.5000 0.0000  0.02
O 0.3277 0.5000 0.0000  0.02
Pt 0.1618 0.5000 0.5000  0.02

Computed properties:
- V (Å³/f.u.) = 96
- relative energy among the computed polymorphs (kJ/mol of atoms) = 26.3
- calculated total energy (eV/atom) = -5.425

=====

# Cr4Si2Cl2O7 PBE+U relaxed
# * magnetic moment: 1.067 μB per atom
# * volume: 14.9 Å³/atom
# * DFT total energy: -7.317 eV per atom
data_Cr4Si2Cl2O7
_chemical_formula_sum 'Cr16 Si8 Cl8 O28'
_space_group_name_H-M_alt 'P 1'
_space_group_IT_number 1
_cell_length_a 6.504
_cell_length_b 12.934
_cell_length_c 10.648
_cell_angle_alpha 90.00
_cell_angle_beta 91.99
_cell_angle_gamma 90.00
loop_
_space_group_symop_operation_xyz
'x,y,z'
loop_
_atom_site_label
********
What is needed: echo the calculation results further above from the first line to the one with "DFT total" with every line break kept.
Record 1
VASP calculation (PBE) on a relaxed NdOsPb2O6 crystal.

a = 5.9724 Å, b = 5.9724 Å, c = 5.9724 Å
α = 60.00°, β = 60.00°, γ = 60.00°
Site moments in Bohr magnetons follow the coordinates.
Element x y z (fractional)
Nd 0.5000 0.5000 0.5000  0.02
O 0.7705 0.2295 0.2295  0.06
O 0.7705 0.7705 0.2295  0.07
O 0.2295 0.7705 0.2295  0.07
O 0.2295 0.2295 0.7705  0.07
O 0.7705 0.2295 0.7705  0.07
Pb 0.7500 0.7500 0.7500  0.05
Os 0.0000 0.0000 0.0000  1.53
O 0.2295 0.7705 0.7705  0.06
Pb 0.2500 0.2500 0.2500  0.05

Computed properties:
- V (Å³/f.u.) = 151
- relative energy among the computed polymorphs (kJ/mol of atoms) = 6.6
- calculated total energy (eV/atom) = -6.842

=====

Record 2
VASP calculation (PBE) on a relaxed Ho3TaO7 crystal.

a = 6.4066 Å, b = 6.4066 Å, c = 7.4071 Å
α = 90.00°, β = 90.00°, γ = 70.89°
Element x y z (fractional)
Ho 0.0003 0.5357 0.0092
O 0.0566 0.6872 0.2951
O 0.9434 0.3128 0.7951
O 0.0831 0.6697 0.7255
Ho 0.5357 0.0003 0.9908
O 0.9169 0.3303 0.2255
O 0.6872 0.0566 0.7049
O 0.0705 0.0705 0.5000
O 0.3303 0.9169 0.7745
O 0.3128 0.9434 0.2049
O 0.3709 0.3709 0.0000
O 0.6697 0.0831 0.2745
Ho 0.4643 0.9997 0.4908
Ho 0.4700 0.5300 0.7500
Ta 0.0019 0.9981 0.2500
O 0.9295 0.9295 0.0000
O 0.3614 0.3614 0.5000
Ho 0.5300 0.4700 0.2500
Ta 0.9981 0.0019 0.7500
O 0.6386 0.6386 0.0000
O 0.6291 0.6291 0.5000
Ho 0.9997 0.4643 0.5092

Computed properties:
- V (Å³/f.u.) = 144
- calculated total energy (eV/atom) = -8.909

=====

Record 3
VASP calculation (PBE) on a relaxed NiI crystal.

a = 3.8508 Å, b = 3.8508 Å, c = 3.8508 Å
α = 60.00°, β = 60.00°, γ = 60.00°
Element x y z (fractional)
I 0.0000 0.0000 0.0000
Ni 0.5000 0.5000 0.5000

Computed properties:
- V (Å³/f.u.) = 40
- calculated total energy (eV/atom) = -3.281

=====

Record 4
VASP calculation (PBE) on a relaxed ZnMoAu2 crystal.

a = 4.5564 Å, b = 4.5564 Å, c = 4.5564 Å
α = 60.00°, β = 60.00°, γ = 60.00°
Site moments in Bohr magnetons follow the coordinates.
Element x y z (fractional)
Au 0.7500 0.7500 0.7500  0.00
Mo 0.2500 0.2500 0.2500  1.49
Zn 0.5000 0.5000 0.5000  0.02
Au 0.0000 0.0000 0.0000  0.07

Computed properties:
- V (Å³/f.u.) = 67
- ΔE_f (eV/atom) = 0.2920
- calculated total energy (eV/atom) = -4.369

=====

Record 5
VASP calculation (PBE) on a relaxed Ga2Tc2O5 crystal.

a = 7.9034 Å, b = 3.5691 Å, c = 3.5691 Å
α = 90.00°, β = 90.00°, γ = 90.00°
Site moments in Bohr magnetons follow the coordinates.
Element x y z (fractional)
Tc 0.5000 0.0000 0.0000  3.22
Tc 0.0000 0.0000 0.0000  0.11
O 0.5000 0.5000 0.5000  0.09
Ga 0.2512 0.5000 0.5000  -0.01
O 0.1557 0.5000 0.0000  0.03
O 0.1557 0.0000 0.5000  0.03
O 0.8443 0.5000 0.0000  0.03
Ga 0.7488 0.5000 0.5000  -0.01
O 0.8443 0.0000 0.5000  0.03

Computed properties:
- V (Å³/f.u.) = 101
- relative energy among the computed polymorphs (kJ/mol of atoms) = 6.4
- calculated total energy (eV/atom) = -6.493

=====

Record 6
VASP calculation (PBE) on a relaxed Ir2Pt2O5 crystal.

a = 8.2097 Å, b = 3.4238 Å, c = 3.4238 Å
α = 90.00°, β = 90.00°, γ = 90.00°
Site moments in Bohr magnetons follow the coordinates.
Element x y z (fractional)
Ir 0.5000 0.0000 0.0000  0.05
O 0.3277 0.0000 0.5000  0.02
Pt 0.8382 0.5000 0.5000  0.02
O 0.6723 0.0000 0.5000  0.02
O 0.5000 0.5000 0.5000  0.12
Ir 0.0000 0.0000 0.0000  0.04
O 0.6723 0.5000 0.0000  0.02
O 0.3277 0.5000 0.0000  0.02
Pt 0.1618 0.5000 0.5000  0.02

Computed properties:
- V (Å³/f.u.) = 96
- relative energy among the computed polymorphs (kJ/mol of atoms) = 26.3
- calculated total energy (eV/atom) = -5.425

=====

# Cr4Si2Cl2O7 PBE+U relaxed
# * magnetic moment: 1.067 μB per atom
# * volume: 14.9 Å³/atom
# * DFT total energy: -7.317 eV per atom